-- Input --
=====
Entry 1:
Ce2Si5Pd3 | r2SCAN | relaxed

Cell lengths 8.2822, 8.2822, 8.2822 Å; angles 137.44, 105.89, 89.41 degrees
With the nearest neighbours (Å) after each atom.
Fractional coordinates of all 20 atoms:
Ce  0.1390  0.1229  0.5175  10 Si 3.08-3.27, 7 Pd 3.18-3.41
Ce  0.3946  0.8771  0.0161  10 Si 3.08-3.27, 7 Pd 3.18-3.41
Ce  0.6054  0.6215  0.4825  10 Si 3.08-3.27, 7 Pd 3.18-3.41
Ce  0.8610  0.3785  0.9839  10 Si 3.08-3.27, 7 Pd 3.18-3.41
Si  0.0343  0.6354  0.8983  3 Pd 2.44-2.51, 2 Si 2.48
Si  0.2252  0.2252  0.0000  3 Pd 2.46-2.65, 2 Si 2.48
Si  0.2254  0.7254  0.5000  3 Pd 2.45-2.65, 2 Si 2.48
Si  0.2629  0.3646  0.3989  3 Pd 2.44-2.51, 2 Si 2.48
Si  0.5000  0.0000  0.5000  4 Pd 2.46
Si  0.5000  0.5000  0.0000  4 Pd 2.47
Si  0.7371  0.1360  0.1017  3 Pd 2.44-2.51, 2 Si 2.48
Si  0.7746  0.2746  0.5000  3 Pd 2.45-2.65, 2 Si 2.48
Si  0.7748  0.7748  0.0000  3 Pd 2.46-2.65, 2 Si 2.48
Si  0.9657  0.8640  0.6011  3 Pd 2.44-2.51, 2 Si 2.48
Pd  0.0000  0.0000  0.0000  6 Si 2.51-2.65
Pd  0.0000  0.5000  0.5000  6 Si 2.50-2.65
Pd  0.2533  0.6124  0.1419  5 Si 2.44-2.47
Pd  0.4705  0.1114  0.8581  5 Si 2.44-2.47
Pd  0.5295  0.3876  0.6409  5 Si 2.44-2.47
Pd  0.7467  0.8886  0.3591  5 Si 2.44-2.47

Output
Its density is 6.96 Mg/m³. The total DFT energy (no corrections) is -18.30 eV per atom. As for the space group: I222 (23). The calculation puts the volume at 17.66 Å³/atom.

=====

Entry 2:
CeSi2Pd2 | r2SCAN | relaxed

Cell lengths 4.2356, 4.2356, 9.9062 Å; angles 90.00, 90.00, 90.00 degrees
With the nearest neighbours (Å) after each atom.
Fractional coordinates of all 10 atoms:
Ce  0.0000  0.0000  0.0000  8 Si 3.22, 8 Pd 3.26
Ce  0.5000  0.5000  0.5000  8 Si 3.22, 8 Pd 3.26
Si  0.0000  0.0000  0.3809  1 Si 2.36, 4 Pd 2.48
Si  0.0000  0.0000  0.6191  1 Si 2.36, 4 Pd 2.48
Si  0.5000  0.5000  0.1191  1 Si 2.36, 4 Pd 2.48
Si  0.5000  0.5000  0.8809  1 Si 2.36, 4 Pd 2.48
Pd  0.0000  0.5000  0.2500  4 Si 2.48
Pd  0.0000  0.5000  0.7500  4 Si 2.48
Pd  0.5000  0.0000  0.2500  4 Si 2.48
Pd  0.5000  0.0000  0.7500  4 Si 2.48

Output
Its density is 7.65 Mg/m³. The total DFT energy (no corrections) is -19.81 eV per atom. As for the space group: I4/mmm (139). The calculation puts the volume at 17.77 Å³/atom.

=====

Entry 3:
Ce3Si6Pd20 | r2SCAN | relaxed

Cell lengths 8.7122, 8.7122, 8.7122 Å; angles 60.00, 60.00, 60.00 degrees
With the nearest neighbours (Å) after each atom.
Fractional coordinates of all 29 atoms:
Ce  0.0000  0.0000  0.0000  12 Pd 3.02, 6 Si 3.30
Ce  0.2500  0.2500  0.2500  4 Pd 2.88
Ce  0.7500  0.7500  0.7500  4 Pd 2.88
Si  0.2674  0.2674  0.7326  8 Pd 2.43-2.47
Si  0.2674  0.7326  0.2674  8 Pd 2.43-2.47
Si  0.2674  0.7326  0.7326  8 Pd 2.43-2.47
Si  0.7326  0.2674  0.2674  8 Pd 2.43-2.47
Si  0.7326  0.2674  0.7326  8 Pd 2.43-2.47
Si  0.7326  0.7326  0.2674  8 Pd 2.43-2.47
Pd  0.0000  0.0000  0.3464  2 Si 2.43, 1 Pd 2.68
Pd  0.0000  0.0000  0.6536  2 Si 2.43, 1 Pd 2.68
Pd  0.0000  0.3464  0.0000  2 Si 2.43, 1 Pd 2.68
Pd  0.0000  0.3464  0.6536  2 Si 2.43, 1 Pd 2.68
Pd  0.0000  0.6536  0.0000  2 Si 2.43, 1 Pd 2.68
Pd  0.0000  0.6536  0.3464  2 Si 2.43, 1 Pd 2.68
Pd  0.1551  0.6150  0.6150  3 Si 2.47
Pd  0.3464  0.0000  0.0000  2 Si 2.43, 1 Pd 2.68
Pd  0.3464  0.0000  0.6536  2 Si 2.43, 1 Pd 2.68
Pd  0.3464  0.6536  0.0000  2 Si 2.43, 1 Pd 2.68
Pd  0.3850  0.3850  0.3850  3 Si 2.47
Pd  0.3850  0.3850  0.8449  3 Si 2.47
Pd  0.3850  0.8449  0.3850  3 Si 2.47
Pd  0.6150  0.1551  0.6150  3 Si 2.47
Pd  0.6150  0.6150  0.1551  3 Si 2.47
Pd  0.6150  0.6150  0.6150  3 Si 2.47
Pd  0.6536  0.0000  0.0000  2 Si 2.43, 1 Pd 2.68
Pd  0.6536  0.0000  0.3464  2 Si 2.43, 1 Pd 2.68
Pd  0.6536  0.3464  0.0000  2 Si 2.43, 1 Pd 2.68
Pd  0.8449  0.3850  0.3850  3 Si 2.47

Output
Its density is 9.65 Mg/m³. The total DFT energy (no corrections) is -21.64 eV per atom. As for the space group: Fm-3m (225). The calculation puts the volume at 16.12 Å³/atom.

=====

Entry 4:
CeSn2Pd2 | r2SCAN | relaxed
=====
-- To do --
Could you set down the lines above up to the one that holds "0.1191", that line included?
-- Response --
Entry 1:
Ce2Si5Pd3 | r2SCAN | relaxed

Cell lengths 8.2822, 8.2822, 8.2822 Å; angles 137.44, 105.89, 89.41 degrees
With the nearest neighbours (Å) after each atom.
Fractional coordinates of all 20 atoms:
Ce  0.1390  0.1229  0.5175  10 Si 3.08-3.27, 7 Pd 3.18-3.41
Ce  0.3946  0.8771  0.0161  10 Si 3.08-3.27, 7 Pd 3.18-3.41
Ce  0.6054  0.6215  0.4825  10 Si 3.08-3.27, 7 Pd 3.18-3.41
Ce  0.8610  0.3785  0.9839  10 Si 3.08-3.27, 7 Pd 3.18-3.41
Si  0.0343  0.6354  0.8983  3 Pd 2.44-2.51, 2 Si 2.48
Si  0.2252  0.2252  0.0000  3 Pd 2.46-2.65, 2 Si 2.48
Si  0.2254  0.7254  0.5000  3 Pd 2.45-2.65, 2 Si 2.48
Si  0.2629  0.3646  0.3989  3 Pd 2.44-2.51, 2 Si 2.48
Si  0.5000  0.0000  0.5000  4 Pd 2.46
Si  0.5000  0.5000  0.0000  4 Pd 2.47
Si  0.7371  0.1360  0.1017  3 Pd 2.44-2.51, 2 Si 2.48
Si  0.7746  0.2746  0.5000  3 Pd 2.45-2.65, 2 Si 2.48
Si  0.7748  0.7748  0.0000  3 Pd 2.46-2.65, 2 Si 2.48
Si  0.9657  0.8640  0.6011  3 Pd 2.44-2.51, 2 Si 2.48
Pd  0.0000  0.0000  0.0000  6 Si 2.51-2.65
Pd  0.0000  0.5000  0.5000  6 Si 2.50-2.65
Pd  0.2533  0.6124  0.1419  5 Si 2.44-2.47
Pd  0.4705  0.1114  0.8581  5 Si 2.44-2.47
Pd  0.5295  0.3876  0.6409  5 Si 2.44-2.47
Pd  0.7467  0.8886  0.3591  5 Si 2.44-2.47

Output
Its density is 6.96 Mg/m³. The total DFT energy (no corrections) is -18.30 eV per atom. As for the space group: I222 (23). The calculation puts the volume at 17.66 Å³/atom.

=====

Entry 2:
CeSi2Pd2 | r2SCAN | relaxed

Cell lengths 4.2356, 4.2356, 9.9062 Å; angles 90.00, 90.00, 90.00 degrees
With the nearest neighbours (Å) after each atom.
Fractional coordinates of all 10 atoms:
Ce  0.0000  0.0000  0.0000  8 Si 3.22, 8 Pd 3.26
Ce  0.5000  0.5000  0.5000  8 Si 3.22, 8 Pd 3.26
Si  0.0000  0.0000  0.3809  1 Si 2.36, 4 Pd 2.48
Si  0.0000  0.0000  0.6191  1 Si 2.36, 4 Pd 2.48
Si  0.5000  0.5000  0.1191  1 Si 2.36, 4 Pd 2.48